[To do]
Next, give back the material underneath character by character.

[File]
=====
Density functional theory data (ωB97M-V/def2-TZVPD) for 7 unconnected molecules or ions with the total composition C36H63BrClFNO16P2S2 at a distorted geometry.

```
123
C36H63BrClFNO16P2S2 ωB97M-V/def2-TZVPD
C 2.7049 0.8589 1.7037
C 3.2482 0.0647 0.5159
Br 5.0920 0.7139 0.2050
C 2.3955 0.2611 -0.7519
C 1.7660 -0.9678 -1.4339
O 0.4477 -1.2449 -1.0694
P 0.4038 -2.3516 0.2990
C -0.7967 -3.5736 -0.4681
C -0.1992 -4.9154 -0.9488
C 0.3872 -4.8597 -2.3476
Cl 0.0663 -6.4222 -3.2356
C -0.8938 -1.2376 1.1521
C -2.3632 -1.2516 0.7156
C -2.6137 -0.6834 -0.6897
C -2.3121 0.8265 -0.7888
N -1.9879 1.2704 -2.1408
P 0.6464 -3.7348 2.1675
S 2.3933 -4.6383 2.4131
O 1.8213 -3.1633 -0.4491
C 2.3915 -2.3852 -1.4160
S 4.1853 -2.6193 -1.5147
O 4.4296 -3.7194 -2.3929
O 4.8517 -2.5946 -0.2624
F 4.5689 -1.3283 -2.3451
H 3.0468 1.8927 1.6644
H 1.6157 0.8621 1.6982
H 3.0569 0.4487 2.6496
H 3.3473 -0.9780 0.8003
H 2.9967 0.7819 -1.4950
H 1.5558 0.9113 -0.5045
H 1.7421 -0.6979 -2.4926
H 1.3885 -1.5683 1.0262
H -1.4722 -3.8579 0.3385
H -1.3477 -3.1474 -1.3040
H 0.5015 -5.3421 -0.2320
H -1.0476 -5.6062 -0.9925
H -0.0855 -4.0941 -2.9524
H 1.4681 -4.7931 -2.3344
H -0.8527 -1.4424 2.2266
H -0.5019 -0.2288 1.0329
H -2.9117 -0.5871 1.4015
H -2.8463 -2.2203 0.8468
H -3.6764 -0.8184 -0.9159
H -2.0237 -1.1860 -1.4509
H -1.4896 1.0785 -0.1240
H -3.2018 1.3775 -0.4734
H -1.1486 0.8094 -2.4553
H -2.7368 1.0499 -2.7778
H 0.4417 -2.9181 3.2995
H -0.3897 -4.6998 2.2362
H 2.1036 -2.7971 -2.3947
O -2.1485 -3.4582 -3.8173
C -3.0145 -4.1473 -4.2662
O -4.2755 -4.1502 -3.7727
C -5.0757 -5.1487 -4.4353
C -4.3756 -5.3973 -5.7670
C -2.9123 -5.1472 -5.4031
H -5.0959 -6.0439 -3.8092
H -6.0894 -4.7731 -4.5411
H -4.5741 -6.3872 -6.1737
H -4.7051 -4.6594 -6.5009
H -2.4204 -6.0424 -5.0198
H -2.3323 -4.7333 -6.2231
O -0.2976 2.3866 6.6650
C 0.8961 2.4495 6.5814
O 1.6887 1.3580 6.6547
C 3.0756 1.7502 6.6358
C 3.0950 3.1287 5.9881
C 1.7491 3.6932 6.4288
H 3.4353 1.7686 7.6681
H 3.6420 1.0076 6.0791
H 3.9466 3.7364 6.2860
H 3.1183 3.0260 4.9078
H 1.8109 4.1876 7.3971
H 1.3130 4.3671 5.6958
O -1.4485 -0.2797 -4.6285
C -0.4192 0.1549 -5.0425
O 0.5835 0.5525 -4.2171
C 1.6634 1.1203 -4.9691
C 1.5135 0.5467 -6.3742
C -0.0022 0.3800 -6.4855
H 1.5614 2.2081 -4.9504
H 2.6018 0.8467 -4.4912
H 1.9536 1.1797 -7.1427
H 1.9946 -0.4308 -6.4252
H -0.4927 1.2855 -6.8466
H -0.2972 -0.4660 -7.0994
O 3.0877 6.2566 7.2325
C 2.2606 7.0948 7.0328
O 2.3950 8.0357 6.0675
C 1.2970 8.9617 6.1176
C 0.1740 8.2138 6.8263
C 0.9545 7.3057 7.7750
H 1.6198 9.8471 6.6705
H 1.0437 9.2544 5.1019
H -0.5353 8.8748 7.3198
H -0.3756 7.6058 6.1072
H 1.1762 7.7911 8.7268
H 0.4630 6.3534 7.9560
O 4.6370 3.5185 3.3016
C 5.8303 3.5552 3.2538
O 6.6058 2.4526 3.3518
C 7.9934 2.8148 3.3717
C 8.0574 4.1922 2.7218
C 6.7090 4.7866 3.1228
H 8.3309 2.8294 4.4110
H 8.5556 2.0593 2.8287
H 8.9194 4.7754 3.0407
H 8.1035 4.0858 1.6374
H 6.7474 5.2844 4.0932
H 6.2994 5.4657 2.3809
O -8.2770 -5.0813 -4.3218
C -8.9241 -4.0782 -4.3855
O -8.5734 -3.0420 -5.1816
C -9.4599 -1.9294 -4.9748
C -10.7334 -2.5370 -4.3968
C -10.1824 -3.7284 -3.6144
H -8.9804 -1.2332 -4.2842
H -9.6161 -1.4286 -5.9268
H -11.3072 -1.8336 -3.7974
H -11.3736 -2.8922 -5.2055
H -9.8946 -3.4564 -2.5979
H -10.8588 -4.5775 -3.5868
```

Results
- HOMO: -4.09 eV
- Charge: -1

Results of the Löwdin charge analysis, in e, for atoms 1 through 5: number 1, C, carries -0.15; number 2, C, carries -0.69; number 3, Br, carries 0.68; number 4, C, carries -0.17; number 5, C, carries -0.36

---

Density functional theory data (ωB97M-V/def2-TZVPD) for a molecular structure, C18H17N3O5Pt at a distorted geometry.

```
44
C18H17N3O5Pt ωB97M-V/def2-TZVPD
Pt -1.1998 -0.0472 1.5044
O -0.9508 -1.4990 5.4285
C -1.1832 -0.9572 4.2929
O -0.4858 -1.0646 3.2796
C -2.3981 -0.1148 4.2039
C -3.2969 0.1353 5.2248
C -4.3795 0.9670 4.9583
C -4.5275 1.5150 3.6852
C -3.5980 1.1974 2.7122
N -2.5579 0.4042 2.9863
C -3.5824 1.6411 1.2887
O -4.4905 2.3655 0.7526
O -2.6223 1.2717 0.5987
H -0.1545 -2.0608 5.5014
=====

[Completed]
Density functional theory data (ωB97M-V/def2-TZVPD) for 7 unconnected molecules or ions with the total composition C36H63BrClFNO16P2S2 at a distorted geometry.

```
123
C36H63BrClFNO16P2S2 ωB97M-V/def2-TZVPD
C 2.7049 0.8589 1.7037
C 3.2482 0.0647 0.5159
Br 5.0920 0.7139 0.2050
C 2.3955 0.2611 -0.7519
C 1.7660 -0.9678 -1.4339
O 0.4477 -1.2449 -1.0694
P 0.4038 -2.3516 0.2990
C -0.7967 -3.5736 -0.4681
C -0.1992 -4.9154 -0.9488
C 0.3872 -4.8597 -2.3476
Cl 0.0663 -6.4222 -3.2356
C -0.8938 -1.2376 1.1521
C -2.3632 -1.2516 0.7156
C -2.6137 -0.6834 -0.6897
C -2.3121 0.8265 -0.7888
N -1.9879 1.2704 -2.1408
P 0.6464 -3.7348 2.1675
S 2.3933 -4.6383 2.4131
O 1.8213 -3.1633 -0.4491
C 2.3915 -2.3852 -1.4160
S 4.1853 -2.6193 -1.5147
O 4.4296 -3.7194 -2.3929
O 4.8517 -2.5946 -0.2624
F 4.5689 -1.3283 -2.3451
H 3.0468 1.8927 1.6644
H 1.6157 0.8621 1.6982
H 3.0569 0.4487 2.6496
H 3.3473 -0.9780 0.8003
H 2.9967 0.7819 -1.4950
H 1.5558 0.9113 -0.5045
H 1.7421 -0.6979 -2.4926
H 1.3885 -1.5683 1.0262
H -1.4722 -3.8579 0.3385
H -1.3477 -3.1474 -1.3040
H 0.5015 -5.3421 -0.2320
H -1.0476 -5.6062 -0.9925
H -0.0855 -4.0941 -2.9524
H 1.4681 -4.7931 -2.3344
H -0.8527 -1.4424 2.2266
H -0.5019 -0.2288 1.0329
H -2.9117 -0.5871 1.4015
H -2.8463 -2.2203 0.8468
H -3.6764 -0.8184 -0.9159
H -2.0237 -1.1860 -1.4509
H -1.4896 1.0785 -0.1240
H -3.2018 1.3775 -0.4734
H -1.1486 0.8094 -2.4553
H -2.7368 1.0499 -2.7778
H 0.4417 -2.9181 3.2995
H -0.3897 -4.6998 2.2362
H 2.1036 -2.7971 -2.3947
O -2.1485 -3.4582 -3.8173
C -3.0145 -4.1473 -4.2662
O -4.2755 -4.1502 -3.7727
C -5.0757 -5.1487 -4.4353
C -4.3756 -5.3973 -5.7670
C -2.9123 -5.1472 -5.4031
H -5.0959 -6.0439 -3.8092
H -6.0894 -4.7731 -4.5411
H -4.5741 -6.3872 -6.1737
H -4.7051 -4.6594 -6.5009
H -2.4204 -6.0424 -5.0198
H -2.3323 -4.7333 -6.2231
O -0.2976 2.3866 6.6650
C 0.8961 2.4495 6.5814
O 1.6887 1.3580 6.6547
C 3.0756 1.7502 6.6358
C 3.0950 3.1287 5.9881
C 1.7491 3.6932 6.4288
H 3.4353 1.7686 7.6681
H 3.6420 1.0076 6.0791
H 3.9466 3.7364 6.2860
H 3.1183 3.0260 4.9078
H 1.8109 4.1876 7.3971
H 1.3130 4.3671 5.6958
O -1.4485 -0.2797 -4.6285
C -0.4192 0.1549 -5.0425
O 0.5835 0.5525 -4.2171
C 1.6634 1.1203 -4.9691
C 1.5135 0.5467 -6.3742
C -0.0022 0.3800 -6.4855
H 1.5614 2.2081 -4.9504
H 2.6018 0.8467 -4.4912
H 1.9536 1.1797 -7.1427
H 1.9946 -0.4308 -6.4252
H -0.4927 1.2855 -6.8466
H -0.2972 -0.4660 -7.0994
O 3.0877 6.2566 7.2325
C 2.2606 7.0948 7.0328
O 2.3950 8.0357 6.0675
C 1.2970 8.9617 6.1176
C 0.1740 8.2138 6.8263
C 0.9545 7.3057 7.7750
H 1.6198 9.8471 6.6705
H 1.0437 9.2544 5.1019
H -0.5353 8.8748 7.3198
H -0.3756 7.6058 6.1072
H 1.1762 7.7911 8.7268
H 0.4630 6.3534 7.9560
O 4.6370 3.5185 3.3016
C 5.8303 3.5552 3.2538
O 6.6058 2.4526 3.3518
C 7.9934 2.8148 3.3717
C 8.0574 4.1922 2.7218
C 6.7090 4.7866 3.1228
H 8.3309 2.8294 4.4110
H 8.5556 2.0593 2.8287
H 8.9194 4.7754 3.0407
H 8.1035 4.0858 1.6374
H 6.7474 5.2844 4.0932
H 6.2994 5.4657 2.3809
O -8.2770 -5.0813 -4.3218
C -8.9241 -4.0782 -4.3855
O -8.5734 -3.0420 -5.1816
C -9.4599 -1.9294 -4.9748
C -10.7334 -2.5370 -4.3968
C -10.1824 -3.7284 -3.6144
H -8.9804 -1.2332 -4.2842
H -9.6161 -1.4286 -5.9268
H -11.3072 -1.8336 -3.7974
H -11.3736 -2.8922 -5.2055
H -9.8946 -3.4564 -2.5979
H -10.8588 -4.5775 -3.5868
```

Results
- HOMO: -4.09 eV
- Charge: -1

Results of the Löwdin charge analysis, in e, for atoms 1 through 5: number 1, C, carries -0.15; number 2, C, carries -0.69; number 3, Br, carries 0.68; number 4, C, carries -0.17; number 5, C, carries -0.36

---

Density functional theory data (ωB97M-V/def2-TZVPD) for a molecular structure, C18H17N3O5Pt at a distorted geometry.

```
44
C18H17N3O5Pt ωB97M-V/def2-TZVPD
Pt -1.1998 -0.0472 1.5044
O -0.9508 -1.4990 5.4285
C -1.1832 -0.9572 4.2929
O -0.4858 -1.0646 3.2796
C -2.3981 -0.1148 4.2039
C -3.2969 0.1353 5.2248
C -4.3795 0.9670 4.9583
C -4.5275 1.5150 3.6852
C -3.5980 1.1974 2.7122
N -2.5579 0.4042 2.9863
C -3.5824 1.6411 1.2887
O -4.4905 2.3655 0.7526
O -2.6223 1.2717 0.5987
H -0.1545 -2.0608 5.5014